At The Parkgate Academy we view excellent attendance and punctuality as vitally important for the learning and progress of the children. Your child’s time at school is very valuable they only get the chance once! It is therefore very important that they miss as little school as possible.
Research shows that children who have good school attendance are more likely to do well in the future. Regular attendance also helps children to develop their confidence and make and keep lasting friendships.
Improving Attendance remains our biggest target area as an Academy. Our target for 2024/2025 is 96% which is in line with the National Average figure for primary schools.
Thank you for your support in getting your child into school on time everyday.
All children who arrive after the classroom doors have closed at 8.45am in KS2 and 8.55am in F2/KS1 must report to the main office. Lateness will be recorded as follows:
Here the text breaks off for data records =
........
Entry 1:
Density functional theory data (ωB97M-V with the def2-TZVPD basis set) for a cluster of 4 separate species, C30H63Br2F4IN7 in total at a distorted geometry.

Structure (ORCA input):
```
! RIJCOSX wB97M-V def2-TZVPD def2/J DEFGRID3
* xyz 1 1
C -5.42211 -0.83299 -4.44577
C -3.88908 -1.20638 -4.28794
N -2.93009 -0.42947 -4.73273
C -3.35456 -2.54184 -3.56073
N -2.24722 -2.15626 -2.64972
C -2.59794 -1.58990 -1.48293
N -4.00446 -1.44039 -1.17805
N -1.65328 -1.14845 -0.46686
C -1.92938 -1.71977 0.88406
C -0.74844 -1.60155 1.94608
C -1.45366 -1.57959 3.41418
I -2.71148 -3.30400 3.80510
C -1.41524 0.28586 -0.47366
Br -2.79031 1.70230 -0.44959
C -0.06818 0.73494 -0.45908
C 1.19578 -0.20416 -0.42318
Br 0.30958 2.69068 -0.45303
C -0.80511 -2.27743 -2.91611
F -0.12618 -3.09682 -1.98788
F -0.22660 -0.99011 -2.98685
C -0.44061 -2.92620 -4.34073
F -0.85244 -4.26482 -4.41012
F 0.96391 -2.90394 -4.43117
H -5.64678 -0.05600 -3.63381
H -5.53864 -0.26441 -5.43234
H -6.12981 -1.71358 -4.39521
H -3.35258 0.40481 -5.16429
H -3.05017 -3.22335 -4.42115
H -4.20080 -3.11309 -3.04834
H -4.29885 -1.94512 -0.33982
H -4.33296 -0.47240 -1.22272
H -2.22053 -2.82552 0.79225
H -2.84997 -1.21410 1.34959
H -0.14591 -0.64709 1.89708
H -0.12739 -2.54979 1.91897
H -0.66521 -1.46124 4.22877
H -2.13967 -0.66373 3.39756
H 1.77737 -0.04685 -1.40024
H 1.93450 0.09460 0.39905
H 0.91936 -1.29933 -0.37418
H -0.83542 -2.29383 -5.20778
C 6.05486 5.58521 -3.93460
C 5.79832 4.24991 -3.24731
N 4.43202 4.08478 -2.76339
C 4.26914 2.92916 -1.88823
C 4.48508 1.54189 -2.49525
C 3.37353 4.27552 -3.74760
C 3.38243 3.37606 -4.98395
H 5.81545 6.42215 -3.27469
H 7.11066 5.66256 -4.20604
H 5.47710 5.68979 -4.85601
H 6.48114 4.19458 -2.39312
H 6.08679 3.44066 -3.93127
H 3.27402 2.95928 -1.43264
H 4.96360 3.04050 -1.04773
H 3.64147 1.23597 -3.11564
H 4.57548 0.79906 -1.69550
H 5.39794 1.48403 -3.09174
H 3.40191 5.31649 -4.08447
H 2.39993 4.18396 -3.25221
H 4.38165 3.25256 -5.40605
H 2.75421 3.81652 -5.76374
H 2.97292 2.38817 -4.76944
C -2.57410 2.76117 3.43379
C -3.88265 3.44988 3.06657
N -5.01024 3.07419 3.90994
C -6.29461 3.53417 3.38907
C -6.53248 5.04267 3.31582
C -4.82299 3.24218 5.34704
C -4.49526 4.64387 5.86140
H -2.67868 1.67296 3.40923
H -1.79686 3.04046 2.71668
H -2.21945 3.05626 4.42389
H -4.10974 3.16916 2.03213
H -3.72056 4.53576 3.06765
H -7.10323 3.08105 3.97190
H -6.41618 3.12434 2.37931
H -6.73874 5.46754 4.29802
H -7.40832 5.24804 2.69261
H -5.68981 5.57775 2.87211
H -4.02488 2.56611 5.67055
H -5.71110 2.87310 5.87152
H -3.75697 5.15686 5.24159
H -4.07956 4.57716 6.87080
H -5.38555 5.26941 5.92780
C 5.02933 -6.85541 2.99906
C 4.33970 -6.24069 1.78759
N 3.11921 -5.50838 2.10808
C 2.33596 -5.14848 0.93224
C 2.95663 -4.16329 -0.05529
C 3.24159 -4.45888 3.11163
C 4.22795 -3.32443 2.83228
H 4.35540 -7.52206 3.54183
H 5.89188 -7.44198 2.67316
H 5.40001 -6.09444 3.68986
H 4.08625 -7.06484 1.11268
H 5.06251 -5.60989 1.25331
H 1.36404 -4.75544 1.25300
H 2.09743 -6.06987 0.38905
........
End of the data records =
F2 8.55am – 9.30am – L Code (Late)
KS1 and KS2 9.05am – 9.30am – L Code (Late)
Mr R Davy, Mrs S Borrill and Mrs P Brooker are there to support you if you have any difficulties with attendance as well as ensure your child attends school regularly and punctually.
Any absences should be reported to the school before 8.45am on the first day of absence, and every day that follows. Telephone: 01623 860584
School can only authorise absences in the case of genuine illness, hospital/medical appointments or other personal exceptional circumstances. We CANNOT authorise absences for reasons such as: shopping, haircuts, birthdays, other family member illness, visiting relatives, no clean uniform or getting up late. Where 3 unauthorised days of absence are recorded the school will issue a Penalty Notice Warning letter which then will trigger a fine if attendance does not improve over the next 12 weeks.
Where absence is sickness related the school may request medical certification particularly where the absence lasts more than 3 days or where attendance drops below 90%. If no medical evidence is received then the absence will be marked as unauthorised and could result in a referral to the Family Service or forwarded to the Local Authority for a fixed penalty fine.
If your child is absent from school due to a medical appointment, please could you bring the letter or an appointment card so that the office can photocopy it for your child’s record. Please ensure the school office receives a copy of medical evidence in order for the absence to be authorised. Where possible can we please request medical appointments are made out of school hours, or at the very least the beginning or end of the day.
Absence due to bereavement of a close family member would be classed as an authorised absence on compassionate grounds and we would also authorise a day for a family funeral but please always contact the school office and inform them if your child needs to have time off in this circumstance.
From September 2013 the Principal no longer has the authority to authorise absences for the purpose of taking a family holiday except in exceptional circumstances. We therefore ask parents and carers to avoid booking holidays during term time. The school will be closed week commencing 22nd May 2023. This will give parents/carers the opportunity to take a holiday during term time when there would be potential cost savings. As a result of this there will be a zero tolerance approach towards parents taking their children out of school at any other time. If however you believe there are exceptional reasons why your child needs to be absent from school you need to complete a Leave of Absence Application Form, which is available from our Attendance Officer.
A child who is absent from school for 2 weeks (10 days) will have less than 95% attendance for that year before taking into account any further days lost due to illness.
Where a child’s level or pattern of absences becomes a concern we will discuss this with the parent or carer and may involve the Targeted Support Service.
For general enquiries please contact Elaine Leivers